Contents.
~~~
# 1
Computed, not measured: a relaxed structure of AcZnGa at the PBE level of DFT.

Calculated values
Polymorph energy (0 for the lowest one) in meV/atom: 0
VASP energy in eV per cell: -19.6
ΔH_f (0 K) in kJ/mol of atoms: -44.7
Theoretical density in g/cm3: 7.7

Cell lengths 4.6118, 4.6118, 8.4501 Å; angles 90.00, 90.00, 120.00 degrees
Closest atoms and distances in Å follow each position.
Fractional coordinates of all 6 atoms:
Ac1 0.0000 0.0000 0.0000  6 Zn 3.40, 6 Ga 3.40
Ac2 0.0000 0.0000 0.5000  6 Ga 3.40, 6 Zn 3.40
Zn1 0.3333 0.6667 0.2500  3 Ga 2.66
Zn2 0.6667 0.3333 0.7500  3 Ga 2.66
Ga1 0.3333 0.6667 0.7500  3 Zn 2.66
Ga2 0.6667 0.3333 0.2500  3 Zn 2.66

---

# 2
Computed, not measured: a relaxed structure of GaNi7Sb2 at the PBE level of DFT.

Calculated values
VASP energy in eV per cell: -53.4
Theoretical density in g/cm3: 8.5

Cell lengths 11.0214, 11.0214, 11.0214 Å; angles 161.03, 161.03, 26.96 degrees
Closest atoms and distances in Å follow each position.
Fractional coordinates of all 10 atoms:
Ga1 0.0000 0.0000 0.0000  12 Ni 2.51-2.57
Ni1 0.0810 0.5810 0.5000  6 Ni 2.51-2.57, 2 Ga 2.51, 2 Sb 2.56
Ni2 0.2500 0.7500 0.5000  4 Sb 2.57, 4 Ni 2.57
Ni3 0.4190 0.9190 0.5000  6 Ni 2.51-2.57, 2 Ga 2.51, 2 Sb 2.56
Ni4 0.5000 0.5000 0.0000  8 Ni 2.51, 4 Ga 2.57
Ni5 0.5810 0.0810 0.5000  6 Ni 2.51-2.57, 2 Ga 2.51, 2 Sb 2.56
Ni6 0.7500 0.2500 0.5000  4 Sb 2.57, 4 Ni 2.57
Ni7 0.9190 0.4190 0.5000  6 Ni 2.51-2.57, 2 Ga 2.51, 2 Sb 2.56
Sb1 0.3347 0.3347 0.0000  8 Ni 2.56-2.57
Sb2 0.6653 0.6653 0.0000  8 Ni 2.56-2.57

---

# 3
Computed, not measured: a relaxed structure of LiScBiRu2 at the PBE level of DFT.

Calculated values
VASP energy in eV per cell: -26.4
ΔH_f (0 K) in kJ/mol of atoms: 83.2
Theoretical density in g/cm3: 7.5

Cell lengths 4.6713, 4.6713, 4.7248 Å; angles 90.00, 90.00, 90.00 degrees
Closest atoms and distances in Å follow each position.
Fractional coordinates of all 5 atoms:
Li1 0.0000 0.0000 0.0000  2 Sc 2.36
Sc1 0.0000 0.0000 0.5000  4 Ru 2.34, 2 Li 2.36
Bi1 0.5000 0.5000 0.0000  4 Li 3.30, 8 Ru 3.32
Ru1 0.0000 0.5000 0.5000  2 Sc 2.34
Ru2 0.5000 0.0000 0.5000  2 Sc 2.34

---

# 4
Computed, not measured: a relaxed structure of Cs2LiGeAs2 at the PBE level of DFT.

Calculated values
VASP energy in eV per cell: -40.0
ΔH_f (0 K) in kJ/mol of atoms: -39.9
Theoretical density in g/cm3: 4.3

Cell lengths 9.7135, 9.7135, 9.7135 Å; angles 139.67, 58.26, 139.79 degrees
Closest atoms and distances in Å follow each position.
Fractional coordinates of all 12 atoms:
Cs1 0.1679 0.2361 0.4039  2 Li 3.66, 4 As 3.67-3.68, 2 Ge 3.74
Cs2 0.3321 0.7361 0.0682  2 Li 3.66, 4 As 3.67-3.68, 2 Ge 3.74
Cs3 0.6679 0.2639 0.9318  2 Li 3.66, 4 As 3.67-3.68, 2 Ge 3.74
Cs4 0.8321 0.7639 0.5961  2 Li 3.66, 4 As 3.67-3.68, 2 Ge 3.74
Li1 0.2500 0.2500 0.0000  4 As 2.78
Li2 0.7500 0.7500 0.0000  4 As 2.78
Ge1 0.2500 0.7500 0.5000  4 As 2.66
Ge2 0.7500 0.2500 0.5000  4 As 2.66
As1 0.0792 0.7354 0.8146  2 Ge 2.66, 2 Li 2.78
As2 0.4208 0.2354 0.6562  2 Ge 2.66, 2 Li 2.78
As3 0.5792 0.7646 0.3438  2 Ge 2.66, 2 Li 2.78
As4 0.9208 0.2646 0.1854  2 Ge 2.66, 2 Li 2.78

---

# 5
Computed, not measured: a relaxed structure of Y2TaBeRh6 at the PBE level of DFT.

Calculated values
VASP energy in eV per cell: -76.7
ΔH_f (0 K) in kJ/mol of atoms: -39.6
Theoretical density in g/cm3: 9.1

Cell lengths 5.8485, 5.8485, 6.9122 Å; angles 114.87, 114.87, 60.28 degrees
Closest atoms and distances in Å follow each position.
Fractional coordinates of all 10 atoms:
Y1 0.2238 0.2238 0.1714  9 Rh 3.04-3.40
Y2 0.7762 0.7762 0.8286  9 Rh 3.04-3.40
Ta1 0.5000 0.5000 0.0000  6 Rh 2.46-2.47
Be1 0.0000 0.0000 0.5000  6 Rh 2.11
Rh1 0.2373 0.2373 0.6942  1 Be 2.11
Rh2 0.2373 0.7151 0.6909  1 Be 2.11
Rh3 0.2849 0.7627 0.3091  1 Be 2.11
Rh4 0.7151 0.2373 0.6909  1 Be 2.11
Rh5 0.7627 0.2849 0.3091  1 Be 2.11
Rh6 0.7627 0.7627 0.3058  1 Be 2.11

---

# 6
Computed, not measured: a relaxed structure of Al2GeRuAu at the PBE level of DFT.

Calculated values
~~~

What to do.
Find "LiScBiRu2 at" and "0.2646 0.1854" in the contents further up, and give back these two lines and those between, please.

Worked solution.
Computed, not measured: a relaxed structure of LiScBiRu2 at the PBE level of DFT.

Calculated values
VASP energy in eV per cell: -26.4
ΔH_f (0 K) in kJ/mol of atoms: 83.2
Theoretical density in g/cm3: 7.5

Cell lengths 4.6713, 4.6713, 4.7248 Å; angles 90.00, 90.00, 90.00 degrees
Closest atoms and distances in Å follow each position.
Fractional coordinates of all 5 atoms:
Li1 0.0000 0.0000 0.0000  2 Sc 2.36
Sc1 0.0000 0.0000 0.5000  4 Ru 2.34, 2 Li 2.36
Bi1 0.5000 0.5000 0.0000  4 Li 3.30, 8 Ru 3.32
Ru1 0.0000 0.5000 0.5000  2 Sc 2.34
Ru2 0.5000 0.0000 0.5000  2 Sc 2.34

---

# 4
Computed, not measured: a relaxed structure of Cs2LiGeAs2 at the PBE level of DFT.

Calculated values
VASP energy in eV per cell: -40.0
ΔH_f (0 K) in kJ/mol of atoms: -39.9
Theoretical density in g/cm3: 4.3

Cell lengths 9.7135, 9.7135, 9.7135 Å; angles 139.67, 58.26, 139.79 degrees
Closest atoms and distances in Å follow each position.
Fractional coordinates of all 12 atoms:
Cs1 0.1679 0.2361 0.4039  2 Li 3.66, 4 As 3.67-3.68, 2 Ge 3.74
Cs2 0.3321 0.7361 0.0682  2 Li 3.66, 4 As 3.67-3.68, 2 Ge 3.74
Cs3 0.6679 0.2639 0.9318  2 Li 3.66, 4 As 3.67-3.68, 2 Ge 3.74
Cs4 0.8321 0.7639 0.5961  2 Li 3.66, 4 As 3.67-3.68, 2 Ge 3.74
Li1 0.2500 0.2500 0.0000  4 As 2.78
Li2 0.7500 0.7500 0.0000  4 As 2.78
Ge1 0.2500 0.7500 0.5000  4 As 2.66
Ge2 0.7500 0.2500 0.5000  4 As 2.66
As1 0.0792 0.7354 0.8146  2 Ge 2.66, 2 Li 2.78
As2 0.4208 0.2354 0.6562  2 Ge 2.66, 2 Li 2.78
As3 0.5792 0.7646 0.3438  2 Ge 2.66, 2 Li 2.78
As4 0.9208 0.2646 0.1854  2 Ge 2.66, 2 Li 2.78